# Request
Next, write out the listing underneath word for word.
# Input
********
# 1
# CsRbHg10 (PBE-GGA, optimized geometry)
# Volume in Å³/atom: 33.5
# Crystal system: orthorhombic
# Symmetry: Pmmm, No. 47
# Energy of formation in eV per atom: -0.173
# Fermi-level density of states in states/eV/atom: 0.40
data_CsRbHg10
_symmetry_space_group_name_H-M 'P 1'
_symmetry_Int_Tables_number 1
_symmetry_space_group_name_Hall 'P 1'
_cell_length_a 5.447
_cell_length_b 6.485
_cell_length_c 11.389
_cell_angle_alpha 90.00
_cell_angle_beta 90.00
_cell_angle_gamma 90.00
loop_
_atom_site_label
_atom_site_fract_x
_atom_site_fract_y
_atom_site_fract_z
_atom_site_occupancy
Cs1 0.000 0.000 0.000 1
Rb1 0.000 0.500 0.500 1
Hg1 0.000 0.000 0.338 1
Hg2 0.000 0.000 0.662 1
Hg3 0.000 0.500 0.171 1
Hg4 0.000 0.500 0.829 1
Hg5 0.500 0.000 0.500 1
Hg6 0.500 0.253 0.255 1
Hg7 0.500 0.253 0.745 1
Hg8 0.500 0.500 0.000 1
Hg9 0.500 0.747 0.255 1
Hg10 0.500 0.747 0.745 1

***

# 2
# CaGeTe2I (PBE-GGA, optimized geometry)
# Volume in Å³/atom: 40.3
# Energy relative to the elements, uncorrected in eV per atom: 0.0981
# Crystal system: tetragonal
# Symmetry: P4/mmm, No. 123
# Energy above the lowest structure with this stoichiometry in eV/atom: 0.458
# Fermi-level density of states in states/eV/atom: 1.07
data_CaGeTe2I
_symmetry_space_group_name_H-M 'P 1'
_symmetry_Int_Tables_number 1
_symmetry_space_group_name_Hall 'P 1'
_cell_length_a 5.895
_cell_length_b 5.895
_cell_length_c 5.803
_cell_angle_alpha 90.00
_cell_angle_beta 90.00
_cell_angle_gamma 90.00
loop_
_atom_site_label
_atom_site_fract_x
_atom_site_fract_y
_atom_site_fract_z
_atom_site_occupancy
Ca1 0.000 0.000 0.000 1
Ge1 0.500 0.500 0.500 1
Te1 0.000 0.500 0.000 1
Te2 0.500 0.000 0.000 1
I1 0.000 0.000 0.500 1

***

# 3
# Ca2LaN (PBE-GGA, optimized geometry)
# Volume in Å³/atom: 27.7
# Energy relative to the elements, uncorrected in eV per atom: -0.4545
# Crystal system: trigonal
# Symmetry: R-3m, No. 166
# Fermi-level density of states in states/eV/atom: 0.86
data_Ca2LaN
_symmetry_space_group_name_H-M 'P 1'
_symmetry_Int_Tables_number 1
_symmetry_space_group_name_Hall 'P 1'
_cell_length_a 10.413
_cell_length_b 10.413
_cell_length_c 10.413
_cell_angle_alpha 19.57
_cell_angle_beta 19.57
_cell_angle_gamma 19.57
loop_
_atom_site_label
_atom_site_fract_x
_atom_site_fract_y
_atom_site_fract_z
_atom_site_occupancy
Ca1 0.125 0.125 0.125 1
Ca2 0.875 0.875 0.875 1
La1 0.000 0.000 0.000 1
N1 0.500 0.500 0.500 1

***

# 4
# Pu2AgO6 (PBE-GGA, optimized geometry)
# Volume in Å³/atom: 15.6
# Energy relative to the elements, uncorrected in eV per atom: -2.1248
# Crystal system: monoclinic
# Symmetry: C2/m, No. 12
# Fermi-level density of states in states/eV/atom: 1.29
data_Pu2AgO6
_symmetry_space_group_name_H-M 'P 1'
_symmetry_Int_Tables_number 1
_symmetry_space_group_name_Hall 'P 1'
_cell_length_a 5.815
_cell_length_b 5.815
_cell_length_c 4.798
_cell_angle_alpha 90.05
_cell_angle_beta 90.05
_cell_angle_gamma 119.96
loop_
_atom_site_label
_atom_site_fract_x
_atom_site_fract_y
_atom_site_fract_z
_atom_site_occupancy
Pu1 0.167 0.833 0.000 1
Pu2 0.833 0.167 0.000 1
Ag1 0.500 0.500 0.500 1
O1 0.131 0.131 0.785 1
O2 0.132 0.500 0.215 1
O3 0.500 0.132 0.215 1
O4 0.500 0.868 0.785 1
O5 0.868 0.500 0.785 1
O6 0.869 0.869 0.215 1

***

# 5
# NaMgHg5 (PBE-GGA, optimized geometry)
# Volume in Å³/atom: 25.6
# Crystal system: tetragonal
# Symmetry: P4/mmm, No. 123
# Energy of formation in eV per atom: -0.137
# Fermi-level density of states in states/eV/atom: 0.43
data_NaMgHg5
_symmetry_space_group_name_H-M 'P 1'
_symmetry_Int_Tables_number 1
_symmetry_space_group_name_Hall 'P 1'
_cell_length_a 4.852
_cell_length_b 4.852
_cell_length_c 7.606
_cell_angle_alpha 90.00
_cell_angle_beta 90.00
_cell_angle_gamma 90.00
loop_
_atom_site_label
_atom_site_fract_x
_atom_site_fract_y
_atom_site_fract_z
_atom_site_occupancy
Na1 0.000 0.000 0.000 1
Mg1 0.000 0.000 0.500 1
Hg1 0.000 0.500 0.284 1
Hg2 0.000 0.500 0.716 1
Hg3 0.500 0.000 0.284 1
Hg4 0.500 0.000 0.716 1
Hg5 0.500 0.500 0.000 1

***

# 6
********
# Here it is
# 1
# CsRbHg10 (PBE-GGA, optimized geometry)
# Volume in Å³/atom: 33.5
# Crystal system: orthorhombic
# Symmetry: Pmmm, No. 47
# Energy of formation in eV per atom: -0.173
# Fermi-level density of states in states/eV/atom: 0.40
data_CsRbHg10
_symmetry_space_group_name_H-M 'P 1'
_symmetry_Int_Tables_number 1
_symmetry_space_group_name_Hall 'P 1'
_cell_length_a 5.447
_cell_length_b 6.485
_cell_length_c 11.389
_cell_angle_alpha 90.00
_cell_angle_beta 90.00
_cell_angle_gamma 90.00
loop_
_atom_site_label
_atom_site_fract_x
_atom_site_fract_y
_atom_site_fract_z
_atom_site_occupancy
Cs1 0.000 0.000 0.000 1
Rb1 0.000 0.500 0.500 1
Hg1 0.000 0.000 0.338 1
Hg2 0.000 0.000 0.662 1
Hg3 0.000 0.500 0.171 1
Hg4 0.000 0.500 0.829 1
Hg5 0.500 0.000 0.500 1
Hg6 0.500 0.253 0.255 1
Hg7 0.500 0.253 0.745 1
Hg8 0.500 0.500 0.000 1
Hg9 0.500 0.747 0.255 1
Hg10 0.500 0.747 0.745 1

***

# 2
# CaGeTe2I (PBE-GGA, optimized geometry)
# Volume in Å³/atom: 40.3
# Energy relative to the elements, uncorrected in eV per atom: 0.0981
# Crystal system: tetragonal
# Symmetry: P4/mmm, No. 123
# Energy above the lowest structure with this stoichiometry in eV/atom: 0.458
# Fermi-level density of states in states/eV/atom: 1.07
data_CaGeTe2I
_symmetry_space_group_name_H-M 'P 1'
_symmetry_Int_Tables_number 1
_symmetry_space_group_name_Hall 'P 1'
_cell_length_a 5.895
_cell_length_b 5.895
_cell_length_c 5.803
_cell_angle_alpha 90.00
_cell_angle_beta 90.00
_cell_angle_gamma 90.00
loop_
_atom_site_label
_atom_site_fract_x
_atom_site_fract_y
_atom_site_fract_z
_atom_site_occupancy
Ca1 0.000 0.000 0.000 1
Ge1 0.500 0.500 0.500 1
Te1 0.000 0.500 0.000 1
Te2 0.500 0.000 0.000 1
I1 0.000 0.000 0.500 1

***

# 3
# Ca2LaN (PBE-GGA, optimized geometry)
# Volume in Å³/atom: 27.7
# Energy relative to the elements, uncorrected in eV per atom: -0.4545
# Crystal system: trigonal
# Symmetry: R-3m, No. 166
# Fermi-level density of states in states/eV/atom: 0.86
data_Ca2LaN
_symmetry_space_group_name_H-M 'P 1'
_symmetry_Int_Tables_number 1
_symmetry_space_group_name_Hall 'P 1'
_cell_length_a 10.413
_cell_length_b 10.413
_cell_length_c 10.413
_cell_angle_alpha 19.57
_cell_angle_beta 19.57
_cell_angle_gamma 19.57
loop_
_atom_site_label
_atom_site_fract_x
_atom_site_fract_y
_atom_site_fract_z
_atom_site_occupancy
Ca1 0.125 0.125 0.125 1
Ca2 0.875 0.875 0.875 1
La1 0.000 0.000 0.000 1
N1 0.500 0.500 0.500 1

***

# 4
# Pu2AgO6 (PBE-GGA, optimized geometry)
# Volume in Å³/atom: 15.6
# Energy relative to the elements, uncorrected in eV per atom: -2.1248
# Crystal system: monoclinic
# Symmetry: C2/m, No. 12
# Fermi-level density of states in states/eV/atom: 1.29
data_Pu2AgO6
_symmetry_space_group_name_H-M 'P 1'
_symmetry_Int_Tables_number 1
_symmetry_space_group_name_Hall 'P 1'
_cell_length_a 5.815
_cell_length_b 5.815
_cell_length_c 4.798
_cell_angle_alpha 90.05
_cell_angle_beta 90.05
_cell_angle_gamma 119.96
loop_
_atom_site_label
_atom_site_fract_x
_atom_site_fract_y
_atom_site_fract_z
_atom_site_occupancy
Pu1 0.167 0.833 0.000 1
Pu2 0.833 0.167 0.000 1
Ag1 0.500 0.500 0.500 1
O1 0.131 0.131 0.785 1
O2 0.132 0.500 0.215 1
O3 0.500 0.132 0.215 1
O4 0.500 0.868 0.785 1
O5 0.868 0.500 0.785 1
O6 0.869 0.869 0.215 1

***

# 5
# NaMgHg5 (PBE-GGA, optimized geometry)
# Volume in Å³/atom: 25.6
# Crystal system: tetragonal
# Symmetry: P4/mmm, No. 123
# Energy of formation in eV per atom: -0.137
# Fermi-level density of states in states/eV/atom: 0.43
data_NaMgHg5
_symmetry_space_group_name_H-M 'P 1'
_symmetry_Int_Tables_number 1
_symmetry_space_group_name_Hall 'P 1'
_cell_length_a 4.852
_cell_length_b 4.852
_cell_length_c 7.606
_cell_angle_alpha 90.00
_cell_angle_beta 90.00
_cell_angle_gamma 90.00
loop_
_atom_site_label
_atom_site_fract_x
_atom_site_fract_y
_atom_site_fract_z
_atom_site_occupancy
Na1 0.000 0.000 0.000 1
Mg1 0.000 0.000 0.500 1
Hg1 0.000 0.500 0.284 1
Hg2 0.000 0.500 0.716 1
Hg3 0.500 0.000 0.284 1
Hg4 0.500 0.000 0.716 1
Hg5 0.500 0.500 0.000 1

***

# 6